Excerpt.
+++
First-principles (PBE with a Hubbard U) data for an optimized crystal structure of Sm2Hf2Mo7O28, as listed in the Materials Project.

* E: -605.93 eV for the cell shown
* volume: 1379 Å³ per cell
* space-group type: C2/c
* ΔH_f (0 K): -2.5847 eV per atom
* total magnetic moment: 0.000 μB/atom

abc: 11.729 11.729 14.106
angles: 110.69 110.69 50.51
Fractional coordinates of all 78 atoms:
Sm 0.125 0.150 0.438
Sm 0.150 0.125 0.938
Sm 0.850 0.875 0.062
Sm 0.875 0.850 0.562
Hf 0.348 0.420 0.312
Hf 0.420 0.348 0.812
Hf 0.580 0.652 0.188
Hf 0.652 0.580 0.688
Mo 0.013 0.501 0.675
Mo 0.068 0.811 0.353
Mo 0.189 0.932 0.147
Mo 0.230 0.455 0.023
Mo 0.299 0.701 0.750
Mo 0.455 0.230 0.523
Mo 0.499 0.987 0.825
Mo 0.501 0.013 0.175
Mo 0.545 0.770 0.477
Mo 0.701 0.299 0.250
Mo 0.770 0.545 0.977
Mo 0.811 0.068 0.853
Mo 0.932 0.189 0.647
Mo 0.987 0.499 0.325
O 0.001 0.204 0.781
O 0.027 0.934 0.102
O 0.039 0.391 0.551
O 0.052 0.171 0.585
O 0.060 0.318 0.333
O 0.066 0.973 0.398
O 0.074 0.640 0.004
O 0.127 0.487 0.283
O 0.135 0.739 0.659
O 0.171 0.052 0.085
O 0.171 0.336 0.972
O 0.195 0.423 0.760
O 0.204 0.001 0.281
O 0.261 0.865 0.841
O 0.264 0.640 0.374
O 0.304 0.447 0.160
O 0.318 0.060 0.833
O 0.336 0.171 0.472
O 0.360 0.736 0.126
O 0.360 0.926 0.496
O 0.362 0.558 0.818
O 0.375 0.390 0.956
O 0.390 0.375 0.456
O 0.391 0.039 0.051
O 0.423 0.195 0.260
O 0.442 0.638 0.682
O 0.447 0.304 0.660
O 0.487 0.127 0.783
O 0.513 0.873 0.217
O 0.553 0.696 0.340
O 0.558 0.362 0.318
O 0.577 0.805 0.740
O 0.609 0.961 0.949
O 0.610 0.625 0.544
O 0.625 0.610 0.044
O 0.638 0.442 0.182
O 0.640 0.074 0.504
O 0.640 0.264 0.874
O 0.664 0.829 0.528
O 0.682 0.940 0.167
O 0.696 0.553 0.840
O 0.736 0.360 0.626
O 0.739 0.135 0.159
O 0.796 0.999 0.719
O 0.805 0.577 0.240
O 0.829 0.664 0.028
O 0.829 0.948 0.915
O 0.865 0.261 0.341
O 0.873 0.513 0.717
O 0.926 0.360 0.996
O 0.934 0.027 0.602
O 0.940 0.682 0.667
O 0.948 0.829 0.415
O 0.961 0.609 0.449
O 0.973 0.066 0.898
O 0.999 0.796 0.219

=====

First-principles (PBE with a Hubbard U) data for an optimized crystal structure of Tb2Hf2Mo7O28, as listed in the Materials Project.

* E: -605.86 eV for the cell shown
* volume: 1352 Å³ per cell
* space-group type: C2/c
* ΔH_f (0 K): -2.5881 eV per atom
* total magnetic moment: 0.000 μB/atom

abc: 11.654 11.654 14.017
angles: 110.89 110.89 50.60
Fractional coordinates of all 78 atoms:
Tb 0.124 0.149 0.437
Tb 0.149 0.124 0.937
Tb 0.851 0.876 0.063
Tb 0.876 0.851 0.563
Hf 0.349 0.420 0.313
Hf 0.420 0.349 0.813
Hf 0.580 0.651 0.187
Hf 0.651 0.580 0.687
Mo 0.012 0.501 0.673
Mo 0.067 0.812 0.353
Mo 0.188 0.933 0.147
Mo 0.228 0.456 0.023
Mo 0.297 0.703 0.750
Mo 0.456 0.228 0.523
Mo 0.499 0.988 0.827
Mo 0.501 0.012 0.173
Mo 0.544 0.772 0.477
Mo 0.703 0.297 0.250
Mo 0.772 0.544 0.977
Mo 0.812 0.067 0.853
Mo 0.933 0.188 0.647
Mo 0.988 0.499 0.327
O 0.003 0.203 0.783
O 0.025 0.935 0.102
O 0.039 0.389 0.548
O 0.053 0.170 0.583
O 0.060 0.316 0.334
O 0.065 0.975 0.398
O 0.071 0.642 0.004
O 0.126 0.487 0.282
O 0.132 0.740 0.657
O 0.170 0.053 0.083
O 0.171 0.334 0.971
O 0.194 0.424 0.761
O 0.203 0.003 0.283
O 0.260 0.868 0.843
O 0.264 0.643 0.375
O 0.303 0.449 0.161
O 0.316 0.060 0.834
O 0.334 0.171 0.471
O 0.357 0.736 0.125
O 0.358 0.929 0.496
O 0.361 0.560 0.820
O 0.375 0.390 0.957
O 0.389 0.039 0.048
O 0.390 0.375 0.457
O 0.424 0.194 0.261
O 0.440 0.639 0.680
O 0.449 0.303 0.661
O 0.487 0.126 0.782
O 0.513 0.874 0.218
O 0.551 0.697 0.339
O 0.560 0.361 0.320
O 0.576 0.806 0.739
O 0.610 0.625 0.543
O 0.611 0.961 0.952
O 0.625 0.610 0.043
O 0.639 0.440 0.180
O 0.642 0.071 0.504
O 0.643 0.264 0.875
O 0.666 0.829 0.529
O 0.684 0.940 0.166
O 0.697 0.551 0.839
O 0.736 0.357 0.625
O 0.740 0.132 0.157
O 0.797 0.997 0.717
O 0.806 0.576 0.239
O 0.829 0.666 0.029
O 0.830 0.947 0.917
O 0.868 0.260 0.343
O 0.874 0.513 0.718
O 0.929 0.358 0.996
O 0.935 0.025 0.602
O 0.940 0.684 0.666
O 0.947 0.830 0.417
O 0.961 0.611 0.452
O 0.975 0.065 0.898
O 0.997 0.797 0.217

=====
+++

Request.
Now find the line above that holds "0.915", then give back that line and all lines after it there.

Result.
O 0.829 0.948 0.915
O 0.865 0.261 0.341
O 0.873 0.513 0.717
O 0.926 0.360 0.996
O 0.934 0.027 0.602
O 0.940 0.682 0.667
O 0.948 0.829 0.415
O 0.961 0.609 0.449
O 0.973 0.066 0.898
O 0.999 0.796 0.219

=====

First-principles (PBE with a Hubbard U) data for an optimized crystal structure of Tb2Hf2Mo7O28, as listed in the Materials Project.

* E: -605.86 eV for the cell shown
* volume: 1352 Å³ per cell
* space-group type: C2/c
* ΔH_f (0 K): -2.5881 eV per atom
* total magnetic moment: 0.000 μB/atom

abc: 11.654 11.654 14.017
angles: 110.89 110.89 50.60
Fractional coordinates of all 78 atoms:
Tb 0.124 0.149 0.437
Tb 0.149 0.124 0.937
Tb 0.851 0.876 0.063
Tb 0.876 0.851 0.563
Hf 0.349 0.420 0.313
Hf 0.420 0.349 0.813
Hf 0.580 0.651 0.187
Hf 0.651 0.580 0.687
Mo 0.012 0.501 0.673
Mo 0.067 0.812 0.353
Mo 0.188 0.933 0.147
Mo 0.228 0.456 0.023
Mo 0.297 0.703 0.750
Mo 0.456 0.228 0.523
Mo 0.499 0.988 0.827
Mo 0.501 0.012 0.173
Mo 0.544 0.772 0.477
Mo 0.703 0.297 0.250
Mo 0.772 0.544 0.977
Mo 0.812 0.067 0.853
Mo 0.933 0.188 0.647
Mo 0.988 0.499 0.327
O 0.003 0.203 0.783
O 0.025 0.935 0.102
O 0.039 0.389 0.548
O 0.053 0.170 0.583
O 0.060 0.316 0.334
O 0.065 0.975 0.398
O 0.071 0.642 0.004
O 0.126 0.487 0.282
O 0.132 0.740 0.657
O 0.170 0.053 0.083
O 0.171 0.334 0.971
O 0.194 0.424 0.761
O 0.203 0.003 0.283
O 0.260 0.868 0.843
O 0.264 0.643 0.375
O 0.303 0.449 0.161
O 0.316 0.060 0.834
O 0.334 0.171 0.471
O 0.357 0.736 0.125
O 0.358 0.929 0.496
O 0.361 0.560 0.820
O 0.375 0.390 0.957
O 0.389 0.039 0.048
O 0.390 0.375 0.457
O 0.424 0.194 0.261
O 0.440 0.639 0.680
O 0.449 0.303 0.661
O 0.487 0.126 0.782
O 0.513 0.874 0.218
O 0.551 0.697 0.339
O 0.560 0.361 0.320
O 0.576 0.806 0.739
O 0.610 0.625 0.543
O 0.611 0.961 0.952
O 0.625 0.610 0.043
O 0.639 0.440 0.180
O 0.642 0.071 0.504
O 0.643 0.264 0.875
O 0.666 0.829 0.529
O 0.684 0.940 0.166
O 0.697 0.551 0.839
O 0.736 0.357 0.625
O 0.740 0.132 0.157
O 0.797 0.997 0.717
O 0.806 0.576 0.239
O 0.829 0.666 0.029
O 0.830 0.947 0.917
O 0.868 0.260 0.343
O 0.874 0.513 0.718
O 0.929 0.358 0.996
O 0.935 0.025 0.602
O 0.940 0.684 0.666
O 0.947 0.830 0.417
O 0.961 0.611 0.452
O 0.975 0.065 0.898
O 0.997 0.797 0.217

=====